Brief:
The reader should write out the lines underneath up to the one that holds "data_TeBrO3F5", that line included.
File:
# PBE-GGA TeBrO3F5, optimized geometry
# Formation energy from the elements in meV per atom: -1561
data_TeBrO3F5
_chemical_formula_sum 'Te4 Br4 O12 F20'
_symmetry_space_group_name_H-M 'P 1 21/c 1'
_symmetry_Int_Tables_number 14
_cell_length_a 5.430
_cell_length_b 6.403
_cell_length_c 20.172
_cell_angle_alpha 90.00
_cell_angle_beta 90.30
_cell_angle_gamma 90.00
loop_
_symmetry_equiv_pos_as_xyz
'x,y,z'
'-x,-y,-z'
'-x,y+1/2,-z+1/2'
'x,-y+1/2,z+1/2'
loop_
_atom_site_label
_atom_site_type_symbol
_atom_site_fract_x
_atom_site_fract_y
_atom_site_fract_z
Done:
# PBE-GGA TeBrO3F5, optimized geometry
# Formation energy from the elements in meV per atom: -1561
data_TeBrO3F5